Wanted.
Could you type out the calculation results further below from the first line to the one with "0.529" word for word?

File.
-- begin --
No. 1
Computed, not measured: one molecule with the formula C4H7NO2, with ωB97M-V/def2-TZVPD.

Each line ends with the Mulliken charge.
Element x y z (Å)
C 2.100 0.973 0.298  -0.950
C 0.985 0.311 -0.005  0.704
N 0.862 -1.076 -0.183  -0.492
O -0.195 0.992 -0.143  -0.400
C -1.334 0.400 0.457  -0.319
C -2.073 -0.505 -0.509  0.013
O -2.999 -1.205 -0.187  -0.479
H 2.054 2.026 0.546  0.260
H 3.065 0.478 0.291  0.228
H 1.728 -1.567 0.004  0.236
H 0.512 -1.329 -1.101  0.202
H -1.081 -0.167 1.359  0.320
H -2.002 1.223 0.736  0.325
H -1.710 -0.452 -1.560  0.352

- E: -9845.2246 eV
- HOMO level: -8.8 eV
- Structure (SMILES): C=C(N)OCC=O
- Gap between HOMO and LUMO: 9.699 eV
- Energy relative to the best compared isomer or geometry (same formula, charge and spin): 198.3 kJ/mol
- Spin multiplicity: 1

***

No. 2
Computed, not measured: a 5-piece molecular cluster, C78H50BrF17N2O9 overall in a non-equilibrium geometry, with ωB97M-V/def2-TZVPD.

Each line ends with the Mulliken charge.
Element x y z (Å)
C -6.374 -5.095 -0.927  0.070
C -6.612 -3.972 -0.574  -0.902
C -6.862 -2.655 0.025  -0.547
C -6.267 -1.516 -0.834  -0.445
C -6.862 -0.175 -0.343  -1.965
C -5.894 1.038 -0.477  1.776
C -6.776 2.250 -0.623  -0.115
N -7.290 3.233 -0.920  -0.687
O -4.994 0.946 -1.533  -0.240
C -5.571 1.000 -2.835  -0.500
C -4.451 0.696 -3.832  -0.569
C -3.715 -0.625 -3.531  -0.906
C -5.051 1.223 0.842  0.926
Br -6.181 2.056 2.228  0.141
C -4.672 -0.076 1.418  -0.338
N -4.444 -1.122 1.829  -0.667
C -3.755 2.018 0.607  -1.235
C -3.975 3.499 0.276  -1.052
C -2.692 4.272 0.015  1.051
F -3.071 5.505 -0.420  -0.378
F -1.998 3.705 -1.000  -0.233
C -1.799 4.519 1.288  0.450
F -1.432 5.804 1.382  -0.317
F -2.617 4.292 2.347  -0.229
C -0.564 3.575 1.465  0.573
F -0.753 2.382 0.888  -0.243
F -0.457 3.326 2.795  -0.337
C 0.831 4.172 1.091  0.589
F 1.715 3.171 1.331  -0.280
F 1.145 5.171 1.924  -0.305
C 1.035 4.568 -0.388  0.765
F 0.833 3.456 -1.135  -0.387
F 0.105 5.455 -0.780  -0.303
C 2.448 5.174 -0.724  0.481
F 2.276 6.499 -0.908  -0.306
F 3.340 5.034 0.264  -0.282
C 3.049 4.649 -2.067  0.595
F 4.088 5.478 -2.322  -0.320
F 2.183 4.802 -3.068  -0.273
C 3.640 3.187 -2.004  0.844
F 3.371 2.573 -0.863  -0.235
F 3.083 2.466 -2.996  -0.273
F 4.947 3.217 -2.227  -0.267
H -6.129 -6.086 -1.222  0.444
H -6.467 -2.630 1.040  0.336
H -7.946 -2.504 0.043  0.392
H -6.624 -1.698 -1.847  0.500
H -5.181 -1.545 -0.786  0.339
H -7.220 -0.281 0.682  0.511
H -7.726 0.045 -0.972  0.600
H -6.362 0.259 -2.979  0.297
H -5.949 1.999 -3.067  0.246
H -3.724 1.507 -3.719  0.219
H -4.840 0.741 -4.849  0.495
H -4.403 -1.366 -3.128  0.178
H -3.257 -0.990 -4.451  0.384
H -2.896 -0.431 -2.840  0.222
H -3.169 1.940 1.524  0.723
H -3.176 1.575 -0.202  0.305
H -4.517 3.556 -0.673  0.339
H -4.605 4.013 0.995  0.408
O 8.741 -0.184 -3.537  -0.666
C 8.113 -0.824 -4.356  0.493
C 6.803 -0.334 -4.868  0.238
C 6.310 0.883 -4.414  -0.751
C 5.111 1.370 -4.906  -0.312
C 4.399 0.643 -5.855  -0.839
C 4.879 -0.577 -6.300  -0.574
C 6.079 -1.073 -5.805  0.156
C 6.571 -2.396 -6.281  0.746
O 5.915 -3.062 -7.056  -0.667
C 7.890 -2.876 -5.785  0.149
C 8.386 -4.091 -6.243  -0.599
C 9.625 -4.537 -5.815  -0.646
C 10.375 -3.773 -4.927  -0.447
C 9.880 -2.568 -4.458  -0.681
C 8.636 -2.116 -4.881  0.294
H 6.869 1.446 -3.679  0.529
H 4.734 2.316 -4.560  0.679
H 3.467 1.031 -6.246  0.405
H 4.326 -1.148 -7.034  0.473
H 7.801 -4.680 -6.936  0.476
H 10.011 -5.482 -6.175  0.431
H 11.348 -4.122 -4.601  0.574
H 10.459 -1.972 -3.766  0.484
O -4.735 3.677 10.150  -0.675
C -5.123 3.634 9.001  0.506
C -4.272 4.134 7.886  0.278
C -3.009 4.638 8.168  -0.610
C -2.194 5.075 7.137  -0.654
C -2.634 5.008 5.820  -0.472
C -3.899 4.521 5.535  -0.661
C -4.722 4.088 6.564  0.221
C -6.085 3.585 6.238  0.405
O -6.510 3.581 5.097  -0.692
C -6.925 3.068 7.349  0.272
C -8.183 2.559 7.059  -0.819
C -8.968 2.038 8.071  -0.457
C -8.503 2.030 9.382  -0.717
C -7.252 2.546 9.680  -0.715
C -6.460 3.071 8.666  0.578
H -2.668 4.684 9.193  0.486
-- stop --

Written answer.
No. 1
Computed, not measured: one molecule with the formula C4H7NO2, with ωB97M-V/def2-TZVPD.

Each line ends with the Mulliken charge.
Element x y z (Å)
C 2.100 0.973 0.298  -0.950
C 0.985 0.311 -0.005  0.704
N 0.862 -1.076 -0.183  -0.492
O -0.195 0.992 -0.143  -0.400
C -1.334 0.400 0.457  -0.319
C -2.073 -0.505 -0.509  0.013
O -2.999 -1.205 -0.187  -0.479
H 2.054 2.026 0.546  0.260
H 3.065 0.478 0.291  0.228
H 1.728 -1.567 0.004  0.236
H 0.512 -1.329 -1.101  0.202
H -1.081 -0.167 1.359  0.320
H -2.002 1.223 0.736  0.325
H -1.710 -0.452 -1.560  0.352

- E: -9845.2246 eV
- HOMO level: -8.8 eV
- Structure (SMILES): C=C(N)OCC=O
- Gap between HOMO and LUMO: 9.699 eV
- Energy relative to the best compared isomer or geometry (same formula, charge and spin): 198.3 kJ/mol
- Spin multiplicity: 1

***

No. 2
Computed, not measured: a 5-piece molecular cluster, C78H50BrF17N2O9 overall in a non-equilibrium geometry, with ωB97M-V/def2-TZVPD.

Each line ends with the Mulliken charge.
Element x y z (Å)
C -6.374 -5.095 -0.927  0.070
C -6.612 -3.972 -0.574  -0.902
C -6.862 -2.655 0.025  -0.547
C -6.267 -1.516 -0.834  -0.445
C -6.862 -0.175 -0.343  -1.965
C -5.894 1.038 -0.477  1.776
C -6.776 2.250 -0.623  -0.115
N -7.290 3.233 -0.920  -0.687
O -4.994 0.946 -1.533  -0.240
C -5.571 1.000 -2.835  -0.500
C -4.451 0.696 -3.832  -0.569
C -3.715 -0.625 -3.531  -0.906
C -5.051 1.223 0.842  0.926
Br -6.181 2.056 2.228  0.141
C -4.672 -0.076 1.418  -0.338
N -4.444 -1.122 1.829  -0.667
C -3.755 2.018 0.607  -1.235
C -3.975 3.499 0.276  -1.052
C -2.692 4.272 0.015  1.051
F -3.071 5.505 -0.420  -0.378
F -1.998 3.705 -1.000  -0.233
C -1.799 4.519 1.288  0.450
F -1.432 5.804 1.382  -0.317
F -2.617 4.292 2.347  -0.229
C -0.564 3.575 1.465  0.573
F -0.753 2.382 0.888  -0.243
F -0.457 3.326 2.795  -0.337
C 0.831 4.172 1.091  0.589
F 1.715 3.171 1.331  -0.280
F 1.145 5.171 1.924  -0.305
C 1.035 4.568 -0.388  0.765
F 0.833 3.456 -1.135  -0.387
F 0.105 5.455 -0.780  -0.303
C 2.448 5.174 -0.724  0.481
F 2.276 6.499 -0.908  -0.306
F 3.340 5.034 0.264  -0.282
C 3.049 4.649 -2.067  0.595
F 4.088 5.478 -2.322  -0.320
F 2.183 4.802 -3.068  -0.273
C 3.640 3.187 -2.004  0.844
F 3.371 2.573 -0.863  -0.235
F 3.083 2.466 -2.996  -0.273
F 4.947 3.217 -2.227  -0.267
H -6.129 -6.086 -1.222  0.444
H -6.467 -2.630 1.040  0.336
H -7.946 -2.504 0.043  0.392
H -6.624 -1.698 -1.847  0.500
H -5.181 -1.545 -0.786  0.339
H -7.220 -0.281 0.682  0.511
H -7.726 0.045 -0.972  0.600
H -6.362 0.259 -2.979  0.297
H -5.949 1.999 -3.067  0.246
H -3.724 1.507 -3.719  0.219
H -4.840 0.741 -4.849  0.495
H -4.403 -1.366 -3.128  0.178
H -3.257 -0.990 -4.451  0.384
H -2.896 -0.431 -2.840  0.222
H -3.169 1.940 1.524  0.723
H -3.176 1.575 -0.202  0.305
H -4.517 3.556 -0.673  0.339
H -4.605 4.013 0.995  0.408
O 8.741 -0.184 -3.537  -0.666
C 8.113 -0.824 -4.356  0.493
C 6.803 -0.334 -4.868  0.238
C 6.310 0.883 -4.414  -0.751
C 5.111 1.370 -4.906  -0.312
C 4.399 0.643 -5.855  -0.839
C 4.879 -0.577 -6.300  -0.574
C 6.079 -1.073 -5.805  0.156
C 6.571 -2.396 -6.281  0.746
O 5.915 -3.062 -7.056  -0.667
C 7.890 -2.876 -5.785  0.149
C 8.386 -4.091 -6.243  -0.599
C 9.625 -4.537 -5.815  -0.646
C 10.375 -3.773 -4.927  -0.447
C 9.880 -2.568 -4.458  -0.681
C 8.636 -2.116 -4.881  0.294
H 6.869 1.446 -3.679  0.529